ASSERTIVENESS IS A QUALITY that shoppers could
use more of. If you’re not satisfied, say so and say
why. Demand what you paid for. For that matter, if
you are satisfied, say so, too. Don’t be apologetic; be
Something like this:
“I know it’s been two years, but we’re returning this
product and we’d like our money back. The main thing is,
it’s just too big. When we buy an M, particularly for this
kind of money, we don’t expect a 5XXL.
“And – we know it was agreed upfront – but we’ve
thought about it and, actually, we think we overpaid.
“So please take your trains back. And, before you ask,
no, a credit won’t suffice. We’d like a cash refund.”
I can attest to the fact that this technique works, at
least when returning a too-big shirt. Locomotives,
though... hmm.
Two years after we joined in the chorus of praise
singers hailing a South African revolution in rail travel,
the train has not left the station. As we know by now,
the thing was more or less a con and a sham. Having
said that, I’m not sure though that I share the touching
belief, implicit in the High Court judgment rendering
the rail deal null and void, that we can simply march
in and demand our money back. Besides, there’s money
that has been smartly diverted away from the main
line, likely never to be seen again. Perhaps it puffed
majestically away from Platform 9¾?
Still on the subject of getting from A to Hogwarts,
though it wasn’t entirely planned, there’s a mobility
thread running through this month’s Popular Mech-
anics. From monster airliners on the fringes of outer
space to the ideal city car, from smart farming imple-
ments to an app that beats check-in queues, from
grizzled riders contesting the vets motocross worlds
to artworks that celebrate our rides, the act of getting
from A to B definitely rocks our world. Or gives us an
ache in the clutch-pedal leg, as the case may be.
The most significant story of the lot, from a conti-
nental point of view, must be the outrageous drone-
as-cargo-plane concept that’s being pushed by the
Kenyans. Almost casually dropped into a presentation,
it certainly woke up the crowd from the pre-lunch torpor
at the recent Drone Con, the meeting place for the
professional UAV industry. Along with other fascinat-
Materials data, kept here for reference
┌──
The following is a PBE-GGA calculation of a geometry-optimized CaTi4Cu3O12 structure, from the Materials Project.

Lattice parameters (Å, degrees): 6.461 6.461 6.461 109.47 109.47 109.47
Fractional coordinates of all 20 atoms:
Ti 0.500 0.000 0.000
Ti 0.500 0.500 0.500
Ti 0.000 0.000 0.500
Ti 0.000 0.500 0.000
O 0.303 0.126 0.823
O 0.823 0.303 0.126
O 0.303 0.480 0.177
O 0.874 0.177 0.697
O 0.520 0.823 0.697
O 0.177 0.697 0.874
O 0.480 0.177 0.303
O 0.126 0.823 0.303
O 0.697 0.520 0.823
O 0.697 0.874 0.177
O 0.823 0.697 0.520
O 0.177 0.303 0.480
Cu 0.000 0.500 0.500
Cu 0.500 0.000 0.500
Cu 0.500 0.500 0.000
Ca 0.000 0.000 0.000

Calculated values
E (MP2020) in eV per formula unit: -159.32
Formation energy in eV per atom: -2.70


(1)
This record from the Materials Project describes an optimized crystal structure of NaInC4O10. The functional is PBE.

Geometry as POSCAR:
```
NaInC4O10
1.0
2.6765 5.6344 -5.1581
4.0275 -6.9685 0.8328
-7.1624 -5.2721 -9.4775
Na In C O
3 3 12 30
Direct
0.9999 0.0000 0.0000 Na
0.0000 0.0001 0.3332 Na
0.0001 0.0001 0.6668 Na
0.4999 0.5000 0.0000 In
0.0000 0.5000 0.3334 In
0.5000 0.0000 0.6666 In
0.6932 0.3069 0.4999 C
0.6137 0.3070 0.8334 C
0.3068 0.6931 0.5000 C
0.3863 0.6930 0.8334 C
0.6931 0.3863 0.1666 C
0.3069 0.6137 0.1666 C
0.8043 0.1956 0.5000 C
0.3912 0.1957 0.8334 C
0.1957 0.8045 0.5000 C
0.6088 0.8043 0.8334 C
0.8044 0.6088 0.1666 C
0.1956 0.3912 0.1666 C
0.6913 0.7753 0.9077 O
0.0838 0.3085 0.2410 O
0.3086 0.2247 0.9076 O
0.9161 0.2247 0.4257 O
0.2247 0.9161 0.5743 O
0.9162 0.6915 0.2410 O
0.7753 0.6914 0.0924 O
0.0839 0.7753 0.4256 O
0.7753 0.0839 0.5744 O
0.2247 0.3086 0.0924 O
0.3086 0.0838 0.7590 O
0.6915 0.9162 0.7590 O
0.7968 0.7967 0.5000 O
0.0001 0.2030 0.8333 O
0.2032 0.2031 0.5000 O
0.2029 0.0001 0.1667 O
0.0001 0.7969 0.8333 O
0.7972 0.9999 0.1666 O
0.6943 0.2518 0.7698 O
0.5577 0.3058 0.1032 O
0.3058 0.7482 0.7698 O
0.4424 0.7481 0.5635 O
0.7481 0.4423 0.4364 O
0.4423 0.6942 0.1032 O
0.2518 0.6943 0.2302 O
0.5576 0.2518 0.5636 O
0.2519 0.5577 0.4365 O
0.7482 0.3057 0.2302 O
0.3058 0.5577 0.8968 O
0.6942 0.4423 0.8969 O
```

Properties
The value obtained for the theoretical density is 2338 kg/m³. As for the formation enthalpy at 0 K: -1242.4 meV/atom. As for the total DFT energy (no corrections): -103.477 eV/f.u.

=====

(2)
This record from the Materials Project describes an optimized crystal structure of HfIr. The functional is PBE.

Geometry as POSCAR:
```
HfIr
1.0
-1.0533 0.9555 -2.7162
-3.3420 -3.2500 0.1526
-3.0064 3.1991 2.2912
Hf Ir
2 2
Direct
0.5000 0.2500 0.2687 Hf
0.5000 0.7500 0.7313 Hf
0.0000 0.7500 0.2061 Ir
0.0000 0.2500 0.7939 Ir
```

Properties
The value obtained for the theoretical density is 17385 kg/m³. As for the formation enthalpy at 0 K: -928.9 meV/atom. As for the total DFT energy (no corrections): -20.653 eV/f.u.

=====

(3)
This record from the Materials Project describes an optimized crystal structure of Na2U2O7. The functional is PBE.

Geometry as POSCAR:
```
Na2U2O7
1.0
└──
So much for the materials data
ing nuggets from this Gauteng conference, Lindsey
Schutters's report provides insight into how Africa is
set for a breakthrough in this Cinderella industry. We
can’t wait to find out more.
In the meantime, a heads-up to next month’s
Popular Mechanics, when we take a look into the
future – in a manner of speaking – with a wide-rang-
ing report on the technology that will energise the
2020 Tokyo Olympics. Coincidentally, as this issue
of Popular Mechanics was being put to bed, we got
the news that in October we would be journeying to
the Japanese capital for its biennial motor show. What’s
particularly interesting for us is that our focus for the
show will be next-generation mobility solutions, which
we’re expecting to see plenty of. Of course, like good
petrolheads, we’ll spend our free time drooling over
some of the great current-generation machinery
that’s bound to be on display, too.
[email protected]
AUGUST 2017 _ 1